### Entries
- - -
1.
Below is C26H52BCl42NO5S as an isolated structure at a distorted geometry, with properties calculated with the ωB97M-V functional and the def2-TZVPD basis.

Results
- spin multiplicity = 1
- calculated total energy (hartree) = -21203.921058
- lowest unoccupied orbital energy (eV) = -0.07
- Kohn-Sham gap (Eh) = 0.317

Each line ends with the Mulliken charge.
Geometry (Å):
O 2.859 -4.068 -1.096  -0.637
C 2.077 -3.187 -0.800  -0.261
O 1.197 -3.432 0.145  -0.585
C 2.104 -1.797 -1.526  0.285
O 3.222 -1.806 -2.405  -0.525
B 4.373 -1.208 -1.848  1.112
O 5.335 -0.729 -2.758  -0.445
O 4.664 -1.087 -0.491  -0.638
N 1.771 -0.565 -0.761  0.821
C 0.251 -0.509 -0.623  -0.753
C -0.437 -1.506 -1.719  -1.697
C 0.872 -1.849 -2.572  -0.456
S 0.531 -3.502 -3.355  -0.305
H 5.024 -1.006 -3.631  0.279
H 4.238 -1.782 0.044  0.177
H 2.018 0.354 -1.141  0.451
H 2.044 -0.808 0.202  0.335
H 0.048 0.496 -1.092  0.183
H -0.149 -0.518 0.407  0.251
H -0.720 -2.395 -1.111  0.681
H -1.208 -1.106 -2.410  0.748
H 1.033 -1.078 -3.378  0.478
H 0.089 -4.256 -2.282  0.166
C 0.207 0.981 2.957  0.083
Cl 0.443 2.250 1.752  -0.093
Cl 1.179 -0.442 2.562  -0.102
H 0.503 1.351 3.933  0.279
H -0.842 0.700 2.973  -0.130
C -3.645 -0.762 0.776  -0.584
Cl -4.150 -2.372 1.307  -0.195
Cl -2.283 -0.867 -0.351  0.462
H -4.478 -0.279 0.293  0.234
H -3.336 -0.184 1.643  0.193
C -1.636 0.136 6.553  0.226
Cl -0.702 1.454 5.828  -0.166
Cl -2.603 -0.709 5.338  -0.114
H -0.950 -0.573 7.009  -0.263
H -2.300 0.547 7.308  0.353
C -1.486 -3.749 7.648  -0.130
Cl -0.169 -2.594 7.890  -0.180
Cl -2.948 -3.243 8.505  -0.159
H -1.705 -3.816 6.585  0.132
H -1.176 -4.720 8.023  0.341
C 2.458 4.429 -1.643  -0.307
Cl 1.035 3.414 -1.931  -0.092
Cl 3.888 3.448 -1.315  -0.145
H 2.640 5.035 -2.526  0.224
H 2.265 5.070 -0.787  0.314
C -3.566 3.226 1.310  -0.228
Cl -4.417 1.955 0.427  -0.103
Cl -2.835 2.574 2.772  -0.080
H -2.780 3.635 0.680  0.321
H -4.272 4.010 1.580  0.095
C -6.290 4.326 4.002  -0.287
Cl -5.323 5.592 3.231  -0.142
Cl -7.261 3.451 2.814  -0.137
H -5.622 3.626 4.496  0.223
H -6.951 4.783 4.731  0.346
C -4.534 4.078 -3.264  -0.553
Cl -4.348 4.592 -1.584  -0.088
Cl -3.162 3.089 -3.777  0.016
H -5.446 3.495 -3.354  0.377
H -4.593 4.955 -3.901  0.267
C -3.113 3.196 -7.743  -0.044
Cl -1.808 4.380 -7.591  -0.127
Cl -4.597 3.779 -6.981  -0.158
H -3.303 3.020 -8.797  0.365
H -2.811 2.270 -7.261  -0.039
C 2.713 -7.044 -1.851  0.162
Cl 1.195 -7.908 -2.137  -0.197
Cl 4.066 -8.172 -1.658  -0.179
H 2.913 -6.395 -2.698  0.172
H 2.617 -6.449 -0.949  0.060
C 6.815 -4.000 0.522  -0.070
Cl 8.246 -2.972 0.645  -0.173
Cl 5.438 -3.289 1.372  -0.147
H 6.556 -4.120 -0.526  0.190
H 7.037 -4.968 0.961  0.226
C 0.057 -4.726 2.808  -0.019
Cl 0.264 -5.959 4.062  -0.204
Cl -0.840 -3.331 3.425  -0.078
H 1.035 -4.395 2.472  0.045
H -0.491 -5.156 1.976  0.260
C -4.784 -2.713 -3.160  -0.133
Cl -5.779 -3.960 -2.398  -0.182
Cl -3.062 -3.082 -3.008  0.054
H -5.039 -2.654 -4.210  0.151
H -4.983 -1.760 -2.678  0.183
C 1.884 3.852 -6.416  0.111
Cl 2.998 4.988 -5.644  -0.153
Cl 1.684 2.404 -5.429  -0.023
H 0.916 4.330 -6.535  -0.270
H 2.279 3.574 -7.388  0.344
C -2.074 -1.783 -6.495  -0.410
Cl -1.492 -0.488 -5.439  -0.066
Cl -3.812 -2.042 -6.295  -0.171
H -1.876 -1.511 -7.527  0.388
H -1.550 -2.703 -6.247  0.253
C 7.236 -9.783 -2.981  0.059
Cl 7.008 -11.534 -2.901  -0.157
Cl 8.925 -9.343 -2.703  -0.160
H 6.938 -9.433 -3.965  0.271
H 6.620 -9.312 -2.221  -0.024
C -1.908 7.047 -4.557  -0.181
Cl -1.729 7.618 -2.894  -0.084
Cl -0.532 6.053 -5.043  -0.040
H -2.814 6.453 -4.631  -0.014
H -1.974 7.905 -5.219  0.324
C 10.997 -5.122 2.582  -0.236
Cl 9.467 -5.947 2.270  -0.132
Cl 12.325 -6.274 2.760  -0.162
H 11.215 -4.459 1.749  0.241
H 10.906 -4.546 3.498  0.293
C -4.826 9.002 2.703  0.100
Cl -3.489 10.145 2.891  -0.162
Cl -6.278 9.574 3.529  -0.156
H -5.044 8.886 1.645  0.282
H -4.534 8.046 3.127  -0.055
C -0.624 10.850 0.371  -0.052
Cl 1.042 11.367 0.655  -0.165
Cl -0.693 9.162 -0.150  -0.092
H -1.188 10.956 1.292  0.040
- - -

### Request
Please say how many lines of the block further up hold the word "functional", as a bare number.

### Response
1